Ready for a live experiment to check what you'd do when its all in?
I guess most here have a plan B and/or somewhere they'd at least want to check out on the ground for an extended period of time.
Now, for this to work well don't check anything online once you start :-)
Choose your country B. Then imagine you're there and things go real bad...
Maybe people with the wrong passports are executed in the streets, maybe hot war breaks out, maybe the people rise up, and you're definitely on the wrong end of the whole thing.
You have to get out. Where do you go to? You need to decide ASAP, ideally within maximum a few hours!
Would be great with answers that are much less well informed than we often get here on SN, since that often will be the very nature of real life situations as described...
Writing this I realize that even though I spend a lot of time getting up to scratch on everything I would have to push myself as well, if I was in country B :-) But at least I've lived this before, in a milder and less acute form...
Where would you go?
Me? You first! ;-)
Its a fair question though as you are challenging everyone else to respond to what is a very vague and loosely defined scenario. Help us out- give us your preferred solution/s to your hypothetical problem scenario...
Can't help everyone to get the point I guess, but here is an example at least: #712142
Through history so many have ended up not being mentally prepared, provoking some thinking around that is my goal...
Ok but I suggest you may be over estimating the potential freedom in nations which exist under the close watch of autocracies. You seem to have given up all hope for the governments of western democracies? Might it not better to remain in a western democracy and fight against the creeping corporate takeover of our democracies?
There is a huge difference between freedom in theory and reality on the ground...
Especially after 2020 hit, the whole, global ruleset changed!
Will be more coming about those things too :-)
Well my plan B is Japan, because of my Japanese wife. When shit hits the fan, I guess I will escape to Taiwan because 1) it’s near Japan, 2) I’m ethically Chinese and speak Mandarin.
- - -
DFT (r2SCAN) results for Mg3P2 after structural relaxation.

Summary:
Calculated formation energy (eV per atom): -0.8049

Lattice parameters (Å, degrees): 12.0106 12.0106 12.0106 90.00 90.00 90.00
Space group Ia-3 (No. 206)
Inequivalent atoms, fractional coordinates:
Mg 0.1034 0.1359 0.6301 [48 per cell]
P 0.0000 0.0000 0.0000 [8 per cell]
P 0.0000 0.2500 0.2738 [24 per cell]


[1]
Mn2Be3N2F12: relaxed, GGA+U.

extended XYZ file:
```
76
Lattice="-2.063 1.450 -9.749 6.999 -6.798 -2.492 -6.940 -7.286 0.385" Properties=species:S:1:pos:R:3 pbc="T T T"
F -2.421 -4.797 -4.761
F -0.157 -6.147 -3.705
F -0.923 -8.612 -3.639
F 2.437 -7.434 -9.375
F -1.692 -11.122 -4.748
F 3.934 -7.308 -7.200
F 0.285 -3.470 -8.214
F 4.039 -8.297 -4.852
F -1.320 -4.379 -2.121
F -3.431 -9.957 -3.132
F 3.887 -7.088 -2.353
F 0.168 -4.244 -5.788
F 4.187 -4.486 -7.395
F -3.860 -3.891 -9.523
F -4.643 -6.042 -4.641
F 0.372 -11.003 -2.787
F 5.015 -6.138 -9.552
F -4.853 -8.916 -8.988
F -6.672 -4.287 -9.547
F -3.846 -5.093 -6.894
F -6.833 -7.472 -5.504
F 0.129 -8.168 -8.510
F -0.802 -5.742 -7.597
F -1.704 -2.600 -9.952
F -1.932 -2.837 -0.183
F -6.608 -5.667 -7.293
F 0.553 -7.842 -11.047
F 1.086 -3.555 -3.406
F 2.649 -10.538 -3.841
F -1.440 -9.427 -1.178
F -1.550 -9.537 -6.767
F -5.724 -5.810 -2.090
F -4.702 -6.386 -9.285
F 1.577 -8.013 -3.592
F -1.003 -0.071 -3.287
F 2.107 -2.310 -1.427
F 0.757 -3.589 -10.926
F 1.729 -5.456 -7.450
F 0.163 -7.644 -5.734
F -1.408 -2.422 -4.191
F -0.226 -11.766 -6.734
F -5.435 -3.025 -7.324
F -1.915 -12.093 -2.034
F -2.609 -7.690 -8.556
F -5.385 -8.322 -3.233
F -0.331 -0.764 -8.378
F 2.850 -4.674 -9.950
F -2.608 -7.076 -5.871
Mn 3.352 -5.915 -8.490
Mn 3.308 -8.826 -3.094
Mn -6.309 -6.661 -3.776
Mn -1.500 -10.368 -2.925
Mn -5.186 -4.732 -8.308
Mn -1.211 -7.630 -7.161
Mn 0.202 -2.150 -9.683
Mn -0.675 -4.252 -3.990
Be 2.057 -2.384 -3.010
Be 0.175 -7.610 -4.150
Be 2.107 -4.332 -11.293
Be 1.657 -11.686 -3.381
Be -1.565 -11.030 -6.312
Be -7.410 -6.957 -6.887
Be 0.356 -4.711 -7.269
Be -1.154 -4.161 -0.574
Be -3.398 -5.744 -5.535
Be -2.123 -1.140 -3.629
Be 1.169 -8.316 -9.666
Be -3.900 -7.730 -9.434
N -2.897 -6.866 -2.310
N -2.330 -2.563 -6.991
N -0.093 -0.589 -0.552
N -1.638 -10.323 -9.688
N 1.944 -9.806 -6.586
N 2.856 -5.514 -4.723
N -4.571 -9.236 -6.092
N -1.288 -5.636 -10.483
```

- VASP energy (eV for the cell shown) = -406.68
- SG = P2_13

[2]
Rb2Mn2Be3F12: relaxed, GGA+U.

extended XYZ file:
```
76
Lattice="-2.787 9.475 3.335 -6.367 -4.343 7.019 7.769 -0.160 6.948" Properties=species:S:1:pos:R:3 pbc="T T T"
Mn -0.827 2.972 10.342
Mn -0.463 1.663 5.787
Mn -4.316 6.787 6.511
Mn -2.892 -3.057 9.454
Mn -5.881 2.656 9.227
Mn 5.267 3.243 8.297
Mn 1.784 -1.456 11.022
Mn 1.791 7.081 8.569
F 4.840 1.552 9.567
F 1.068 2.882 9.363
F -2.320 -2.768 11.491
F -3.412 4.885 6.980
F 1.106 6.956 10.572
F 1.780 5.586 12.637
F -1.489 1.052 9.685
F 2.062 -0.263 2.837
F 0.057 2.016 12.061
F -3.479 -3.110 7.379
F -0.218 4.842 11.227
F -6.423 1.987 7.257
F -5.180 3.082 11.182
- - -
### The entry goes on
You haven’t answered your own question yet
I can do a round or more of this any day! It has become a routine :-)
Right now I'm planning to get back to Nepal again. Should anything go wrong there I've got India to disappear in.
If I can fly out and conditions allow I would then go to Egypt, especially if medical paperwork is important to get fixed.
### Misplaced calculated crystals
........
1.
## CdI3NO (GGA-PBE)

Data for an optimized crystal structure of CdI3NO.

## Properties
For the calculated formation energy, the calculation gives 0.6392 eV per atom. As for the total energy: -2.46 eV/atom. For the total moment, the calculation gives 15.83 μB/cell. The symmetry is Pmc2_1, No. 26.

Unit cell a=8.284 b=7.070 c=17.491 alpha=90.00 beta=90.00 gamma=90.00
Atoms (fractional coordinates):
Cd1 0.710 0.000 0.021
I1 0.452 0.750 0.416
N1 0.195 0.249 0.149
I2 0.548 0.750 0.916
Cd2 0.280 0.500 0.519
Cd3 0.290 0.000 0.521
I3 0.548 0.250 0.916
I4 0.424 0.000 0.666
I5 0.408 0.500 0.666
O1 0.950 0.087 0.294
O2 0.950 0.913 0.294
N2 0.195 0.751 0.149
I6 0.050 0.500 0.994
I7 0.452 0.250 0.416
I8 0.950 0.500 0.494
Cd4 0.720 0.500 0.019
I9 0.576 0.000 0.166
I10 0.954 0.000 0.508
O3 0.050 0.913 0.794
I11 0.046 0.000 0.008
I12 0.592 0.500 0.166
N3 0.805 0.249 0.649
O4 0.050 0.087 0.794
N4 0.805 0.751 0.649



2.
## CdIO4 (GGA-PBE)

Data for an optimized crystal structure of CdIO4.

## Properties
For the calculated formation energy, the calculation gives -0.9249 eV per atom. As for the total energy: -4.17 eV/atom. For the total moment, the calculation gives 3.97 μB/cell. The symmetry is Pnma, No. 62.

Unit cell a=4.931 b=6.934 c=11.124 alpha=90.00 beta=90.00 gamma=90.00
Atoms (fractional coordinates):
O1 0.730 0.546 0.331
O2 0.355 0.250 0.883
O3 0.230 0.046 0.169
Cd1 0.000 0.500 0.500
O4 0.709 0.250 0.571
O5 0.770 0.954 0.831
O6 0.230 0.454 0.169
Cd2 0.500 0.000 0.000
O7 0.770 0.546 0.831
O8 0.270 0.046 0.669
O9 0.855 0.750 0.617
O10 0.645 0.750 0.117
O11 0.270 0.454 0.669
O12 0.145 0.250 0.383
I1 0.485 0.250 0.714
Cd3 0.500 0.500 0.000
O13 0.791 0.250 0.071
O14 0.291 0.750 0.429
O15 0.209 0.750 0.929
Cd4 0.000 0.000 0.500
I2 0.985 0.750 0.786
I3 0.515 0.750 0.286
I4 0.015 0.250 0.214
O16 0.730 0.954 0.331



3.
## CdIO9 (GGA-PBE)

Data for an optimized crystal structure of CdIO9.

## Properties
For the calculated formation energy, the calculation gives 0.1327 eV per atom. As for the total energy: -3.58 eV/atom. For the total moment, the calculation gives 35.99 μB/cell. The symmetry is P2_1/c, No. 14.

Unit cell a=13.198 b=5.602 c=9.781 alpha=62.96 beta=90.00 gamma=90.00
Atoms (fractional coordinates):
O1 0.512 0.779 0.241
O2 0.845 0.578 0.015
O3 0.790 0.996 0.367
O4 0.646 0.527 0.078
O5 0.668 0.975 0.137
O6 0.293 0.461 0.227
O7 0.168 0.025 0.363
Cd1 0.928 0.793 0.317
O8 0.132 0.024 0.944
Cd2 0.072 0.207 0.683
O9 0.515 0.298 0.941
O10 0.049 0.616 0.222
O11 0.354 0.473 0.922
O12 0.988 0.779 0.741
O13 0.793 0.539 0.273
O14 0.290 0.004 0.133
O15 0.015 0.702 0.559
O16 0.146 0.473 0.422
O17 0.368 0.024 0.444
Cd3 0.572 0.793 0.817
O18 0.155 0.422 0.985
O19 0.012 0.221 0.259
O20 0.451 0.616 0.722
O21 0.207 0.461 0.727
O22 0.549 0.384 0.278
O23 0.485 0.702 0.059
O24 0.710 0.996 0.867
I1 0.751 0.773 0.572
O25 0.832 0.975 0.637
I2 0.749 0.773 0.072
O26 0.632 0.976 0.556
O27 0.854 0.527 0.578
O28 0.951 0.384 0.778
O29 0.332 0.025 0.863
O30 0.655 0.578 0.515
........
Other options are Armenia, Georgia, maybe Turkey and then Bulgaria. Cheap, flexible, and they are countries that have seen totalitarian regimes before.
Japan sounds like a stable option long term, but who knows, that is kinda the point with this type of exercise...
I think Nepal is nice. Colourful vibrant culturally rich but not as loud as India.
Are you considering Bhutan as well? It’s rather Bitcoin friendly
Bhutan is close to impossible other than a few days as a tourist, or weeks if you're stinking rich.
That being said I've got at least some remote connections that might lead to something... But that would be after a lot of other things going very well, so I'm not really thinking about that at all, for now.
10 sats \ 1 reply \ @nout 13 Oct
First move family into safety. This usually means outside of the city. Now it really depends on specifics
  • light pack the family as fast as possible
  • if I don't have a car, try getting a good driver
  • if there are fights in the street, try getting the most up to date locations and strategize/predict the development
  • if it's "your hometown is under attack by another country as part of war" type of situation, then I'd immediately (after family safe) start helping with preparations for home defense (blocking roads, barricades, molotovs)
  • ... again, it really depends on what is specifically happening, what needs reaction
If flights are N/A, then we need to cross borders to escape, then I'd choose the most feasible crossing and attempt to cross.
Good thinking!
But what if you were already in country B, not your home country, be it on holiday or anything else?
IMO there is a more than small chance of war breaking out between China and the west- in fact it already has with Iran and Russia being Chinese proxies challenging the current US dominance of global power. So if such a situation occurred and open conflict broke out between US and China where would I go- probably where I live already and where I know the ground and rules and people best. New Zealand.
If so, how & where would you hide out if you totally need to go dark for a few months?
I think I'll be staying at the same place where I am right now. It's better to fight aginst all odds than to just run away.
Nothing wrong with that!
But what if there was absolutely no hope achieving anything meaningful? Maybe your area is suddenly sprayed with tons of chemicals...